• Exercise:
Next, print the part of the block further below that starts with the line with "-1.16040" and stops after the one with "-2.61247 2.73294".

• Given:
<<<
Entry 1:
Formula: C5H14
Source: the Open Molecules 2025 dataset
Level of theory: ωB97M-V/def2-TZVPD

Properties
E_LUMO = 0.041 Ha
Energy relative to the best compared isomer or geometry (same formula, charge and spin) = 12.7 kcal per mole
Frontier orbital gap = 12.206 eV
SMILES string = CCC.CC

Cartesian coordinates (Å):
C: 1.07207 1.21505 -1.32884
C: 1.25171 -0.25221 -0.89836
C: 2.69022 -0.70298 -1.07088
H: 0.20895 1.64496 -0.82199
H: 1.95389 1.78094 -1.02377
H: 1.00643 1.27790 -2.41267
H: 0.64866 -0.90717 -1.55121
H: 0.72266 -0.50414 0.02447
H: 3.37930 -0.52261 -0.24454
H: 3.17931 -0.20327 -1.90790
H: 2.69131 -1.77572 -1.24980
C: -2.07337 0.55015 1.72906
C: -2.80245 -0.79940 1.45441
H: -2.45500 0.91650 2.66428
H: -1.01221 0.28796 1.76267
H: -2.13497 1.14470 0.82054
H: -3.74191 -0.64328 0.92720
H: -3.05717 -1.28014 2.40423
H: -2.17180 -1.53311 0.95533

---

Entry 2:
Formula: C4H11N2
Source: the Open Molecules 2025 dataset
Level of theory: ωB97M-V/def2-TZVPD

Properties
E_LUMO = -0.131 Ha
Energy relative to the best compared isomer or geometry (same formula, charge and spin) = 31.1 kcal per mole
Frontier orbital gap = 9.883 eV
SMILES string = CC/C(N)=C/[NH3+]
Net charge = +1

Cartesian coordinates (Å):
C: 0.05256 -0.90273 -2.15410
C: -0.94775 -0.22700 -1.21789
C: -0.30256 0.26203 0.03974
N: 0.34138 1.47655 -0.00359
C: -0.26386 -0.46992 1.16264
N: 0.83874 -0.23042 2.12170
H: -0.39793 -1.65894 -2.79564
H: 0.50772 -0.17089 -2.82782
H: 0.84617 -1.43122 -1.63688
H: -1.48205 0.58234 -1.72320
H: -1.73910 -0.91383 -0.93546
H: 0.46582 1.90017 -0.90864
H: 0.24311 2.15080 0.73563
H: -0.58937 -1.49617 1.21830
H: 0.55736 0.32132 2.93268
H: 1.58749 0.27501 1.63514
H: 1.16969 -1.12723 2.47096

---

Entry 3:
Formula: C3H6O4
Source: the Open Molecules 2025 dataset
Level of theory: ωB97M-V/def2-TZVPD

Properties
E_LUMO = 0.020 Ha
Energy relative to the best compared isomer or geometry (same formula, charge and spin) = 61.8 kcal per mole
Frontier orbital gap = 10.619 eV

Cartesian coordinates (Å):
C: -0.47158 0.78303 -1.16040
C: 0.25230 -1.65915 1.54872
C: -0.64082 0.00593 0.15186
O: 0.31406 -0.90245 0.32477
O: 0.85123 1.76366 -0.84473
O: 0.10523 0.22720 -2.19549
O: -1.55052 0.22586 0.91165
H: 1.04386 0.96860 -1.81835
H: 0.68929 2.67522 -1.13246
H: -1.33030 1.45212 -1.31145
H: 0.37661 -0.99818 2.40706
H: 1.06892 -2.37324 1.49204
H: -0.70828 -2.16860 1.62678

---

Entry 4:
Formula: C35H31ClN4PSn
Source: the Open Molecules 2025 dataset
Level of theory: ωB97M-V/def2-TZVPD

Properties
E_LUMO = -0.369 Ha
Energy relative to the best compared isomer or geometry (same formula, charge and spin) = 20.2 kcal per mole
Frontier orbital gap = 6.206 eV
Net charge = +3

Cartesian coordinates (Å):
Sn: -0.31442 -0.52445 0.60734
N: -3.85071 -0.15212 -0.07984
C: -3.40532 0.79600 0.81747
C: -4.35868 1.66123 1.37153
C: -3.96525 2.62769 2.26537
C: -2.61247 2.73294 2.60273
C: -1.74149 1.85078 2.02637
N: -2.11668 0.88618 1.15289
C: -3.24208 -1.11381 -0.85020
C: -4.07593 -1.84818 -1.70964
C: -3.55696 -2.83529 -2.50833
C: -2.18322 -3.09425 -2.45366
C: -1.42660 -2.34423 -1.60211
N: -1.92509 -1.36713 -0.79911
H: -4.84585 -0.10046 -0.23407
H: -5.40077 1.56740 1.09395
H: -4.69123 3.30221 2.69871
H: -2.25675 3.48382 3.29256
H: -0.67891 1.89386 2.24934
H: -5.13553 -1.62907 -1.73553
H: -4.20069 -3.39696 -3.17140
H: -1.72679 -3.85775 -3.06591
H: -0.35643 -2.49827 -1.53590
N: 1.56208 -1.68745 -0.47277
C: 2.50615 -1.02484 -1.36399
C: 3.49415 -1.74851 -2.01687
C: 4.38892 -1.10528 -2.85753
C: 4.30052 0.26770 -3.05728
C: 3.30317 0.99101 -2.43050
C: 2.40962 0.34694 -1.57097
P: 1.14496 1.31729 -0.73023
C: 0.34020 2.37166 -1.93421
C: -0.28633 3.54907 -1.51267
C: -0.92199 4.35048 -2.44439
C: -0.95713 3.97183 -3.78156
C: -0.35641 2.78948 -4.19591
C: 0.27795 1.97527 -3.27351
C: 1.95951 2.33166 0.52500
C: 2.09345 1.84587 1.82585
C: 2.77048 2.58605 2.77958
C: 3.31405 3.81737 2.43438
C: 3.19551 4.29575 1.13681
C: 2.51698 3.56115 0.17623
H: 1.39170 -2.62219 -0.84106
H: 2.02883 -1.86485 0.41514
>>>

• Reply:
C: -0.47158 0.78303 -1.16040
C: 0.25230 -1.65915 1.54872
C: -0.64082 0.00593 0.15186
O: 0.31406 -0.90245 0.32477
O: 0.85123 1.76366 -0.84473
O: 0.10523 0.22720 -2.19549
O: -1.55052 0.22586 0.91165
H: 1.04386 0.96860 -1.81835
H: 0.68929 2.67522 -1.13246
H: -1.33030 1.45212 -1.31145
H: 0.37661 -0.99818 2.40706
H: 1.06892 -2.37324 1.49204
H: -0.70828 -2.16860 1.62678

---

Entry 4:
Formula: C35H31ClN4PSn
Source: the Open Molecules 2025 dataset
Level of theory: ωB97M-V/def2-TZVPD

Properties
E_LUMO = -0.369 Ha
Energy relative to the best compared isomer or geometry (same formula, charge and spin) = 20.2 kcal per mole
Frontier orbital gap = 6.206 eV
Net charge = +3

Cartesian coordinates (Å):
Sn: -0.31442 -0.52445 0.60734
N: -3.85071 -0.15212 -0.07984
C: -3.40532 0.79600 0.81747
C: -4.35868 1.66123 1.37153
C: -3.96525 2.62769 2.26537
C: -2.61247 2.73294 2.60273